Difficult to tell if effort achieve its objective: promoting local business
_Misplaced calculated crystals_
........
#one
# NaTcGe2Pd | Alexandria | PBE-GGA | optimized geometry
# ρ = 5.4 g/cm³
# Total magnetic moment = 0.00 μB per cell
data_NaTcGe2Pd
_cell_length_a 4.748
_cell_length_b 4.748
_cell_length_c 5.113
_cell_angle_alpha 90.00
_cell_angle_beta 90.00
_cell_angle_gamma 90.00
_symmetry_space_group_name_H-M 'P 4/m m m'
_symmetry_Int_Tables_number 123
_symmetry_space_group_name_Hall '-P 4 2'
loop_
_atom_site_label
_atom_site_type_symbol
_atom_site_fract_x
_atom_site_fract_y
_atom_site_fract_z
Na1 Na 0.000 0.000 0.000
Tc1 Tc 0.500 0.500 0.500
Ge1 Ge 0.000 0.500 0.500
Pd1 Pd 0.500 0.500 0.000


#two
# NaTcGe2Pd | Alexandria | PBE-GGA | optimized geometry
# ρ = 5.3 g/cm³
# Total magnetic moment = 0.46 μB per cell
data_NaTcGe2Pd
_cell_length_a 4.714
_cell_length_b 4.714
_cell_length_c 5.278
_cell_angle_alpha 90.00
_cell_angle_beta 90.00
_cell_angle_gamma 90.00
_symmetry_space_group_name_H-M 'P 4/m m m'
_symmetry_Int_Tables_number 123
_symmetry_space_group_name_Hall '-P 4 2'
loop_
_atom_site_label
_atom_site_type_symbol
_atom_site_fract_x
_atom_site_fract_y
_atom_site_fract_z
Na1 Na 0.000 0.000 0.000
Tc1 Tc 0.000 0.000 0.500
Ge1 Ge 0.000 0.500 0.500
Pd1 Pd 0.500 0.500 0.000


We find #one to be the most stable, with the next structure 351 meV/atom higher.


#one
# NaPmGe | Alexandria | PBE-GGA | optimized geometry
# ρ = 5.3 g/cm³
# Total magnetic moment = 0.00 μB per cell
data_NaPmGe
_cell_length_a 4.9049
_cell_length_b 4.9049
_cell_length_c 3.5921
_cell_angle_alpha 90.00
_cell_angle_beta 90.00
_cell_angle_gamma 120.00
_symmetry_space_group_name_H-M 'P 3 m 1'
_symmetry_Int_Tables_number 156
loop_
_symmetry_equiv_pos_as_xyz
'x,y,z'
'-y,x-y,z'
'-x+y,-x,z'
'-y,-x,z'
'-x+y,y,z'
'x,x-y,z'
loop_
_atom_site_label
_atom_site_type_symbol
_atom_site_fract_x
_atom_site_fract_y
_atom_site_fract_z
Na1 Na 0.0000 0.0000 0.0000
Pm1 Pm 0.3333 0.6667 0.4584
Ge1 Ge 0.6667 0.3333 0.8155


#two
# NaPmGe | Alexandria | PBE-GGA | optimized geometry
# ρ = 4.6 g/cm³
# Total magnetic moment = 0.00 μB per cell
data_NaPmGe
_cell_length_a 7.010
_cell_length_b 7.010
_cell_length_c 7.010
_cell_angle_alpha 90.00
_cell_angle_beta 90.00
_cell_angle_gamma 90.00
_symmetry_space_group_name_H-M 'F -4 3 m'
_symmetry_Int_Tables_number 216
_symmetry_space_group_name_Hall 'F -4 2 3'
loop_
_atom_site_label
_atom_site_type_symbol
_atom_site_fract_x
_atom_site_fract_y
_atom_site_fract_z
Na1 Na 0.000 0.000 0.000
Pm1 Pm 0.000 0.000 0.500
Ge1 Ge 0.250 0.250 0.750


#three
# NaPmGe | Alexandria | PBE-GGA | optimized geometry
# ρ = 4.8 g/cm³
# Total magnetic moment = 0.00 μB per cell
data_NaPmGe
_cell_length_a 10.801
_cell_length_b 4.505
_cell_length_c 7.861
_cell_angle_alpha 90.00
_cell_angle_beta 120.12
_cell_angle_gamma 90.00
_symmetry_space_group_name_H-M 'C 1 2/m 1'
_symmetry_Int_Tables_number 12
loop_
_symmetry_equiv_pos_as_xyz
'x,y,z'
'-x,-y,-z'
'-x,y,-z'
'x,-y,z'
'x+1/2,y+1/2,z'
'-x+1/2,-y+1/2,-z'
'-x+1/2,y+1/2,-z'
'x+1/2,-y+1/2,z'
loop_
_atom_site_label
_atom_site_type_symbol
_atom_site_fract_x
........
Seal Beach launched the Hold Fast marketing campaign about three weeks ago. The consultant reported the social media campaign response was “pretty good” for a new project.
## Inserted here: materials data
+++
1.
DFT (PBE-GGA) results for crystalline Nd3YTh2Se6 at its relaxed geometry.

Calculated values
- total magnetization (μB/atom) = 0.00
- electronic total energy (eV per atom) = -6.423
- raw formation energy (eV/atom) = -1.714

a b c (Å): 7.2781 12.5817 7.2779
angles (deg): 90.00 109.51 90.00
With the nearest neighbours (Å) after each atom.
Space group C2/m (No. 12)
Inequivalent atoms, fractional coordinates:
Nd (0.0000, 0.0000, 0.0000)  6 Se 2.97-3.03
Nd (0.0000, 0.3314, 0.0000)  6 Se 2.97-3.01
Y (0.0000, 0.5000, 0.5000)  6 Se 2.91-2.92
Th (0.0000, 0.1667, 0.5000)  6 Se 2.97-2.98
Se (0.2442, 0.5000, 0.2533)  1 Y 2.92, 2 Th 2.98, 3 Nd 2.98-3.03
Se (0.2449, 0.3367, 0.7449)  1 Y 2.91, 2 Th 2.97, 3 Nd 2.97-3.01

---

2.
DFT (PBE-GGA) results for crystalline Nd2Y3ThSe6 at its relaxed geometry.

Calculated values
- total magnetization (μB/atom) = 0.00
- electronic total energy (eV per atom) = -6.517
- raw formation energy (eV/atom) = -1.746

a b c (Å): 18.2348 4.1232 8.3808
angles (deg): 90.00 104.89 90.00
With the nearest neighbours (Å) after each atom.
Space group C2/m (No. 12)
Inequivalent atoms, fractional coordinates:
Nd (0.1638, 0.0000, 0.3280)  6 Se 2.97-3.01
Y (0.0000, 0.5000, 0.5000)  6 Se 2.88-2.91
Y (0.1666, 0.0000, 0.8342)  6 Se 2.86-2.90
Th (0.0000, 0.5000, 0.0000)  6 Se 3.00
Se (0.0042, 0.0000, 0.7425)  3 Y 2.86-2.88, 1 Nd 2.97, 2 Th 3.00
Se (0.1652, 0.5000, 0.5903)  3 Y 2.90-2.91, 3 Nd 3.01
Se (0.1700, 0.5000, 0.0749)  3 Y 2.87-2.88, 2 Nd 2.98, 1 Th 3.00

---

3.
DFT (PBE-GGA) results for crystalline Nd3Y2ThSe6 at its relaxed geometry.

Calculated values
- total magnetization (μB/atom) = 0.00
- electronic total energy (eV per atom) = -6.389
- raw formation energy (eV/atom) = -1.759

a b c (Å): 18.1788 4.1615 8.4065
angles (deg): 90.00 102.80 90.00
With the nearest neighbours (Å) after each atom.
Space group C2/m (No. 12)
Inequivalent atoms, fractional coordinates:
Nd (0.0000, 0.0000, 0.0000)  6 Se 2.95-3.02
Nd (0.1623, 0.5000, 0.3339)  6 Se 2.96-3.03
Y (0.1654, 0.5000, 0.8306)  6 Se 2.85-2.92
Th (0.0000, 0.0000, 0.5000)  6 Se 2.97-3.00
Se (0.0046, 0.5000, 0.7536)  1 Y 2.85, 3 Nd 2.95-2.96, 2 Th 2.97
Se (0.1690, 0.0000, 0.5939)  2 Y 2.89, 3 Nd 2.99-3.00, 1 Th 3.00
Se (0.1706, 0.0000, 0.0765)  3 Y 2.91-2.92, 3 Nd 3.02-3.03

---

4.
DFT (PBE-GGA) results for crystalline Nd4YTh3Se8 at its relaxed geometry.

Calculated values
- total magnetization (μB/atom) = 0.00
- electronic total energy (eV per atom) = -6.439
- raw formation energy (eV/atom) = -1.710

a b c (Å): 8.3710 8.3710 20.7582
angles (deg): 90.00 90.00 120.00
With the nearest neighbours (Å) after each atom.
Space group R-3m (No. 166, hexagonal axes)
Inequivalent atoms, fractional coordinates:
Nd (0.0000, 0.0000, 0.0000)  6 Se 3.02
Nd (0.0000, 0.5000, 0.0000)  6 Se 2.97
Y (0.0000, 0.0000, 0.5000)  6 Se 2.92
Th (0.0000, 0.5000, 0.5000)  6 Se 2.97-2.98
Se (0.0000, 0.0000, 0.2504)  3 Nd 2.97, 3 Th 2.98
Se (0.0058, 0.5029, 0.2486)  1 Y 2.92, 2 Th 2.97, 3 Nd 2.97-3.02

---

5.
+++
“It doesn’t end here,” said Les Johnson, the city’s Community Development Department director during this week’s City Council meeting.
“It’s just beginning,” he told the council.
In a Monday phone interview, Johnson said Hold Fast Seal Beach would be going on for several months.
The goals of the program, according to the original marketing proposal are to “Promote and expand awareness of Seal Beach businesses and services,” “Drive return and new business growth in all five districts,” “increase resident patronage,” and to “promote long- term customer relationships.”
As of Monday afternoon, the Hold Fast video on YouTube had been viewed 1,144 times since it was posted on Aug. 21. Five individuals had subscribed.
On Instagram, Hold Fast had received 17 posts and 194 followers.
On Facebook, there were 315 individuals following the page.
During a Monday, Sept. 28, phone interview, Johnson agreed that it was too soon to tell if the campaign would achieve its objective: promoting local businesses.
Johnson said that it was very difficult to definitively track whether people were coming to businesses in Seal Beach because of the Hold Fast campaign.
However, he said the city does know the number of people who are visiting the web page.
_These records of crystals were left in the piece by mistake_
<<<
This record from Alexandria describes a geometry-optimized ZrMn3N structure. The functional is GGA-PBE.

Properties
Formation energy without anion corrections (eV/atom): -0.258
M_tot (μB/cell): 1.7
Crystal system: cubic
Relative energy among the computed polymorphs (eV/f.u.): 0.00
Raw total energy (eV per atom): -9.134
Symmetry: Pm-3m, No. 221

Cell: 3.8814 3.8814 3.8814 Å, 90.00 90.00 90.00°
Closest atoms and distances in Å follow each position.
Positions (direct):
Mn 0.5000 0.0000 0.0000  2 N 1.94
Mn 0.0000 0.0000 0.5000  2 N 1.94
Mn 0.0000 0.5000 0.0000  2 N 1.94
N 0.0000 0.0000 0.0000  6 Mn 1.94
Zr 0.5000 0.5000 0.5000  12 Mn 2.74

=====

VASP calculation (GGA-PBE) on a geometry-optimized CdRePt2 structure.

- uncorrected energy (eV/atom) = -6.328
- total magnetic moment (μB/cell) = 0.00
- V (Å³/cell) = 129
- formation energy from the elements (kJ/mol of atoms) = 3.3

Cell: 5.736 8.033 2.798 Å, 90.00 90.00 90.00°
Space group Cmmm (No. 65)
Asymmetric unit:
Cd: 0.000 0.000 0.000 (multiplicity 2)
Re: 0.000 0.500 0.000 (multiplicity 2)
Pt: 0.250 0.250 0.500 (multiplicity 4)

=====

1.
PBE La2MgTl6, relaxed; raw total energy = -3.00 eV per atom
1.0
8.4457 -4.3793 0.0000
8.4457 4.3793 0.0000
-0.0058 0.0000 3.6699
La Mg Tl
2 1 6
Direct
0.1914 0.1914 0.9998
0.8086 0.8086 0.0002
0.5000 0.5000 0.5000
0.1640 0.5261 0.5004
0.1868 0.8132 0.0000
0.4739 0.8360 0.4996
0.5261 0.1640 0.5004
0.8132 0.1868 0.0000
0.8360 0.4739 0.4996

=====

2.
PBE La3MgTl2, relaxed; energy above the lowest structure with this stoichiometry = 0.0 kJ/mol of atoms; raw total energy = -3.85 eV per atom
1.0
5.6196 0.0000 0.0000
-2.8098 4.8667 0.0000
0.0000 0.0000 13.7973
La Mg Tl
6 2 4
Direct
0.0000 0.0000 0.2484
0.0000 0.0000 0.7516
0.3333 0.6667 0.4197
0.3333 0.6667 0.9201
0.6667 0.3333 0.0799
0.6667 0.3333 0.5803
0.3333 0.6667 0.6693
0.6667 0.3333 0.3307
0.0000 0.0000 0.0000
0.0000 0.0000 0.5000
0.3333 0.6667 0.1768
0.6667 0.3333 0.8232

=====

3.
PBE La4MgTl, relaxed; energy above the lowest structure with this stoichiometry = 16.2 kJ/mol of atoms; raw total energy = -3.76 eV per atom
1.0
0.0000 4.6670 4.6670
4.6670 0.0000 4.6670
4.6670 4.6670 0.0000
La Mg Tl
4 1 1
Direct
0.3759 0.3759 0.3759
0.3759 0.3759 0.8724
0.3759 0.8724 0.3759
0.8724 0.3759 0.3759
0.0000 0.0000 0.0000
0.7500 0.7500 0.7500

=====

4.
PBE La5Mg2Tl, relaxed; raw total energy = -3.90 eV per atom
1.0
8.0940 0.0000 0.0000
0.0000 8.0940 0.0000
0.0000 0.0000 7.8916
La Mg Tl
10 4 2
Direct
0.0000 0.0000 0.0000
0.2501 0.2501 0.2491
0.2499 0.2499 0.7491
0.2501 0.7499 0.2491
0.2499 0.7501 0.7491
0.5000 0.5000 0.5000
0.7499 0.2501 0.2491
0.7501 0.2499 0.7491
0.7499 0.7499 0.2491
0.7501 0.7501 0.7491
0.0000 0.5000 0.4989
0.0000 0.5000 0.9989
0.5000 0.0000 0.4989
0.5000 0.0000 0.9989
0.0000 0.0000 0.4989
0.5000 0.5000 0.9989

=====

5.
PBE LaMg3Tl3, relaxed; energy above the lowest structure with this stoichiometry = 0.0 kJ/mol of atoms; raw total energy = -2.10 eV per atom
1.0
7.7490 0.0000 0.0000
0.0000 7.7490 0.0000
>>>
_So much for the records of crystals_
Deb Machen of MarketSnag agreed. “You are correct, in this instance it is very difficult to measure because I cannot be at every store, restaurant or service business to track where customers are coming from,” she wrote in a Sept. 29 email.
“Our social media video ads are generally receiving over 1,000 views in 24 hours, which is very good, especially considering the accounts and campaign are so new,” Machen wrote.
“The contest receives more attention each week, meaning that people are patronizing local businesses and giving them a shout out each time, by snapping a photo, tagging the business and using #holdfadtsb,” Machen wrote.
City Manager Jill Ingram approved the contract with Machen’s business MarketSnag in July to market the city. Her signature appears on the document provided on in response to a California Public Records Act request. In June, the City Council approved the creation of a marketing campaign with a limit of $30,000.
Johnson said that after the council approved the marketing project in June, the city reached out to three Seal Beach businesses to discuss the matter. He said two provided proposals. According to Johnson, staff made the recommendation that Ingram approve the agreement with MarketSnag.
The contract is for a maximum expense of $30,000, according to page 3 of the document. As of Sept. 13, Assistant City Manager Patrick Gallegos reported that the city had spent $5,000.
The Sun asked Treasurer/Finance Director Kelly Telford for the most recent figure in a Sept. 29 email. The Sun had not received a reply as of editorial deadline.
The city public records portal has notified the Sun that it needs more time to respond to requests for invoices related to the marketing campaign. “Government Code Section 6253(c) permits this extended period, however the City endeavors to provide all requests promptly,” according to the City Clerk’s Office.
District One Councilman Joe Kalmick said he didn’t know why the campaign had become a controversy.
Kalmick criticized the Sun’s recent headline about the campaign in the Sept. 24 edition, arguing that the headline created the impression that the city would definitely spend that amount.
Kalmick pointed out that when he had a framing business on Main Street, he frequently performed framing services for the city government without a contract.